NOW: Sonic Advance 3
NEXT: Sonic Adventure 2: Battle
LATER: Sonic Mania
NOW: Sonic Advance 3
NEXT: Sonic Adventure 2: Battle
- - -
Record 1
Starting from a crystal structure in Alexandria, relaxed with GGA+U, the powder diffraction line list of Na2CaCoF6 was simulated for Cu Kα (weighted mean of Kα1 and Kα2).
Peak positions follow from Bragg's law for the DFT cell and can differ from measured ones.

Top 6 peaks for 5 to 70 degrees two-theta, by angle:
d [Å]	Position (°2θ)	I (rel.)	hkl
4.085	21.8	43	0 0 2
4.063	21.9	100	1 1 -1
2.930	30.5	42	0 2 0
2.895	30.9	95	1 1 1
2.867	31.2	93	1 1 -3
2.032	44.6	78	2 2 -2

Crystal structure
```
Na2CaCoF6
1.0
5.6387 0.0000 0.0000
0.0000 5.8607 0.0000
-5.5279 0.0000 8.1701
Na Ca Co F
4 2 2 12
direct
0.2311 0.0570 0.2488
0.2311 0.4430 0.7488
0.7689 0.5570 0.2512
0.7689 0.9430 0.7512
0.5000 0.0000 0.0000
0.5000 0.5000 0.5000
0.0000 0.0000 0.5000
0.0000 0.5000 0.0000
0.1104 0.2063 0.9323
0.1104 0.2937 0.4323
0.2299 0.6848 0.9350
0.2299 0.8152 0.4350
0.3621 0.0602 0.7373
0.3621 0.4398 0.2373
0.6379 0.5602 0.7627
0.6379 0.9398 0.2627
0.7701 0.1848 0.5650
0.7701 0.3152 0.0650
0.8896 0.7063 0.5677
0.8896 0.7937 0.0677
```

***

Record 2
Starting from a crystal structure in Alexandria, relaxed with GGA+U, the powder diffraction line list of RbMn2Se2O6 was simulated for Cu Kα (weighted mean of Kα1 and Kα2).
Peak positions follow from Bragg's law for the DFT cell and can differ from measured ones.

Top 6 peaks for 5 to 70 degrees two-theta, by angle:
d [Å]	Position (°2θ)	I (rel.)	hkl
4.985	17.8	70	0 1 -1
3.474	25.6	51	-1 1 1
3.359	26.5	62	1 0 1
2.915	30.7	100	1 -2 1
2.733	32.8	80	1 1 -2
2.664	33.6	66	-2 1 1

Crystal structure
```
RbMn2Se2O6
1.0
5.8468 0.0000 0.0000
-2.0343 5.7567 0.0000
-0.9474 -2.5381 5.5729
Rb Mn Se O
1 2 2 6
direct
0.0000 0.0000 0.0000
0.2646 0.5489 0.9269
0.7354 0.4511 0.0731
0.2725 0.9198 0.5461
0.7275 0.0802 0.4539
0.1209 0.6593 0.2153
0.3304 0.7485 0.7010
0.3910 0.2587 0.8361
0.6090 0.7413 0.1639
0.6696 0.2515 0.2990
0.8791 0.3407 0.7847
```

* * * * *

The following is a theoretical powder diffraction line list of Cs2DyCuF6. It was derived from the PBE geometry in Alexandria, using CuKα.
Intensities are scaled so that the largest is 100.

Structural model:
Unit cell a=8.2324 b=9.8730 c=9.9617 alpha=90.00 beta=90.00 gamma=90.00
Space group Fmmm (No. 69)
Asymmetric unit:
Cs (0.2500, 0.2500, 0.2500) (multiplicity 8)
Dy (0.0000, 0.0000, 0.0000) (multiplicity 4)
Cu (0.0000, 0.0000, 0.5000) (multiplicity 4)
F (0.0000, 0.0000, 0.2180) (multiplicity 8)
F (0.0000, 0.2199, 0.0000) (multiplicity 8)
F (0.2302, 0.0000, 0.5000) (multiplicity 8)

Principal peaks in the range 2θ = 5–70°, low angle first:
(1 1 1), d 5.338, I 27; (0 2 2), d 3.506, I 100; (2 0 2), d 3.173, I 77; (2 2 0), d 3.161, I 76; (0 0 4), d 2.490, I 34; (0 4 0), d 2.468, I 34; (2 2 4), d 1.956, I 37; (2 4 2), d 1.948, I 37; (4 2 2), d 1.775, I 28; (0 4 4), d 1.753, I 22

* * * * *

Structure and simulated X-ray powder pattern of GdTm2Hg (a cell relaxed with GGA-PBE; Cu Ka).
Lines closer than 0.1° are merged.

Crystal structure
```
data_GdTm2Hg
_cell_length_a 5.3938
- - -
LATER: Sonic Mania
>barely over 150K
>On day fucking TWO
Trannies BTFO'd
Post your bingo boards
plz post beautiful pics of protomanlet
redill me on kirbymastah
it probably has more to do with the save/kill the animals
man how i hate that shit
I am up next guys, wish me luck!
claim your runnerfu
post AMY
What's that?
Anyone else hates autistic laughter?
You know, how every time someone says a very, very unfunny pun or yells a forced joke and like clockwork you can hear the audience laugh in that specific pitch and frequency?
What the hell is it?
he's actualy very good speenrun er
check this 4 you triple soyniggers
Why did the stream go down yesterday?
This announcer guy sounds like Todd Howard
>mentiong Werster
I am loving the run because Advance 3 is amazing, but this commentary is subpar.
Stop giving them views or it gets worse.
>he mentioned Werster
Why can't there at least be passable trannies there? All of them are ugly goblins.
sig is eternally my runnerfu
is there really an hour left of this garbage?
>4 minutes worse than the wr
And they let this loser run the game?
How do you guys feel about Amy Rose?
When's the awful games block?
>Are people seriously salty enough not to donate to cancer research over not being able to be part of a chat that moves too fast to actually see!!??
I can't tell if this ironic shitposting or if these retards in chat actually think this.
What save/kill the animals thing?
We got warned about this for so long...
First we let the irish live and they ruin things, then we let the blacks live and they ruin things, then we let the muslims live and they ruin things, then we let the gays live and they ruin things, now we let the trans live and they ruin things.
When do we put our foot down on the necks of these abominations?
Any true bros in here that were here yesterday for this?
Would you let your wife dress like this at her wedding?
Started yesterday evening.
the donation incentive that they do for metroid, they aren't doing it this time
I want to have sex with the pink hedgehog.
did i miss something or did the runner just say his PB is 1:32 but the estimate is 1:30
i must know, does fapping to sonic and digimon girls and gardevoir make me a furry?
>cancer research
It's a "cancer awareness" charity.
It was funny, and then sad, and then comfy
h o w n e w
It's lunch time, what are you having?
Hearth of the digits
Based ham sandwich poster
Very cute
Just came home
Any drama?
I deliberately didn't watch because I still haven't gotten around to finishing the game. What'd I miss?
That's because there's no Super run this year, for the first time in as long as I can remember.
Motherfucker I lol'd
don't know if penis or middle finger... or both
>stuck at work for 2.5 more hours
>missing all sonic but home when megaman starts
For the best I guess
they do not know de weh
>holds her skirt down while grinding
Yea guy.
yes, no, and maybe respectively
This is my wife
there are no good games
don't worry (((anonymous))) will come through to make this the biggest, most EPIC GDQ ever!!!
>all these ugly shemen
Who's going to pay for this?
Sorry for not watching this shitshow 24/7 you double nigger
You could have posted the non-futa version, you know. You could have just done that.
The poet said, "you want a whore with a white dress. I want a wife in a thong."
>10 dollars
>for that
What le heck
I'll take the brisket sandwich
I missed the start of it but the guy was super comfy. Who needs a couch. Would've filled it with faggots anyways.
yes, that stupid stuff made a lot of money and it isn't there this time
i wish they were making less money because they took all the fun out of it, but i don't think that's the case
what was the best run so far? I missed a lot
>The same place she keeps her hammer
## Inserted here: data records
=====
For K7Au3, a DFT-relaxed cell (PBE, OQMD) gives the computed PXRD pattern in this record (λ = 1.5418 Å (Cu Kα)).

The 10 most intense peaks (10 to 80 degrees two-theta), sorted by position:
(hkl)  2θ/deg  intensity
1 0 1  14.9  67
2 0 0  17.3  31
2 0 1  21.2  100
3 0 0  26.1  31
3 0 1  28.8  49
2 0 2  30.0  44
2 2 0  30.2  54
2 1 2  33.7  32
3 2 1  40.3  37
2 0 3  40.9  29

Crystal structure
```
data_K7Au3
_space_group_name_H-M_alt 'P 63 m c'
_space_group_IT_number 186
_space_group_name_Hall 'P 6c -2c'
_cell_length_a 11.8332
_cell_length_b 11.8332
_cell_length_c 7.3285
_cell_angle_alpha 90.00
_cell_angle_beta 90.00
_cell_angle_gamma 120.00
loop_
_atom_site_label
_atom_site_fract_x
_atom_site_fract_y
_atom_site_fract_z
K1 0.0761 0.5380 0.0000
K2 0.1260 0.2520 0.7055
K3 0.3333 0.6667 0.4719
Au1 0.1872 0.3744 0.2681
```

For Lu2Ga5Ni12, a DFT-relaxed cell (PBE, OQMD) gives the computed PXRD pattern in this record (λ = 1.5418 Å (Cu Kα)).

The 10 most intense peaks (10 to 80 degrees two-theta), sorted by position:
(hkl)  2θ/deg  intensity
1 1 2  30.3  35
3 0 0  37.0  43
2 0 3  41.1  28
2 2 0  43.0  57
3 0 2  43.2  100
0 0 4  43.9  29
2 2 2  48.6  20
2 2 4  63.1  16
3 3 2  71.0  19
6 0 0  78.8  20

Crystal structure
```
data_Lu2Ga5Ni12
_space_group_name_H-M_alt 'P 63/m m c'
_space_group_IT_number 194
_space_group_name_Hall '-P 6c 2c'
_cell_length_a 8.4165
_cell_length_b 8.4165
_cell_length_c 8.2559
_cell_angle_alpha 90.00
_cell_angle_beta 90.00
_cell_angle_gamma 120.00
loop_
_atom_site_label
_atom_site_fract_x
_atom_site_fract_y
_atom_site_fract_z
Lu1 0.0000 0.0000 0.2500
Lu2 0.3333 0.6667 0.2500
Ga1 0.0000 0.5000 0.0000
Ga2 0.3333 0.6667 0.6054
Ni1 0.0277 0.3531 0.7500
Ni2 0.1662 0.3324 0.0155
```

For NbSe4, a DFT-relaxed cell (PBE, OQMD) gives the computed PXRD pattern in this record (λ = 1.5418 Å (Cu Kα)).

The 10 most intense peaks (10 to 80 degrees two-theta), sorted by position:
(hkl)  2θ/deg  intensity
1 0 0  14.8  58
0 0 2  27.6  23
1 1 2  35.0  39
2 1 1  36.4  100
2 0 2  41.2  23
2 1 2  44.0  18
3 1 0  48.2  27
2 1 3  54.7  30
4 0 2  69.3  14
3 3 2  73.4  14

Crystal structure
```
data_NbSe4
_space_group_name_H-M_alt 'P 4/m c c'
_space_group_IT_number 124
_space_group_name_Hall '-P 4 2c'
_cell_length_a 5.973
_cell_length_b 5.973
_cell_length_c 6.465
_cell_angle_alpha 90.00
_cell_angle_beta 90.00
_cell_angle_gamma 90.00
loop_
_atom_site_label
_atom_site_fract_x
_atom_site_fract_y
_atom_site_fract_z
Nb1 0.000 0.000 0.250
Se1 0.136 0.335 0.000
```

For Sm3In3Ag2Au, a DFT-relaxed cell (PBE, OQMD) gives the computed PXRD pattern in this record (λ = 1.5418 Å (Cu Kα)).

The 10 most intense peaks (10 to 80 degrees two-theta), sorted by position:
(hkl)  2θ/deg  intensity
1 1 1  31.6  85
2 0 1  34.3  100
2 1 0  34.9  37
3 0 0  39.8  46
2 1 1  41.5  37
0 0 2  44.3  26
2 1 2  57.6  17
3 0 2  61.0  25
3 2 1  63.8  36
5 0 1  73.3  12

Crystal structure
```
data_Sm3In3Ag2Au
_space_group_name_H-M_alt 'P -6 2 m'
_space_group_IT_number 189
=====
>$10 each
>two hotdogs
Don't worry, just a bit less than an hour until this run ends
same desu
These guys think they're really funny.
>there are people in this thread RIGHT NOW that think nu-Amy is better than the original
Hotel food bruh
Why does speedrunning attract so many trannies?
Did somebody just say holy crap? Ban this rude chink immediately.
got any yoshi eggs? id love me some of those haha